Request:
The reader should search the calculation results underneath for the word "meV" and retype each line that has it.

Given:
/*
Density functional theory data (PBE) for a relaxed FeSiHg2 crystal.

Geometry as extended XYZ:
```
4
Lattice="2.9570 0.0000 0.0000 0.0000 2.9570 0.0000 0.0000 0.0000 8.2355" Properties=species:S:1:pos:R:3 pbc="T T T"
Fe 0.0000 0.0000 0.0000
Si 1.4785 1.4785 7.2667
Hg 0.0000 0.0000 4.8254
Hg 1.4785 1.4785 2.0364
```

Results
The uncorrected formation energy comes out at 254 meV/atom. The calculation puts the total magnetization at 0.000 μB/f.u.
*/

Result:
The uncorrected formation energy comes out at 254 meV/atom. The calculation puts the total magnetization at 0.000 μB/f.u.